Data >
+++
CdMoO4: calculated powder XRD pattern (Cu Kα, 1.54184 Å), based on a DFT-relaxed cell (PBE+U, the Materials Project).
Intensities are scaled so that the largest is 100.

Cell and atoms:
```
CdMoO4
1.0
-2.6275 2.6275 5.7067
2.6275 -2.6275 5.7067
2.6275 2.6275 -5.7067
Cd Mo O
2 2 8
Direct
0.3750 0.1250 0.2500
0.6250 0.8750 0.7500
0.1250 0.3750 0.7500
0.8750 0.6250 0.2500
0.0550 0.7053 0.8386
0.2053 0.8667 0.6503
0.2836 0.4450 0.1503
0.3667 0.2164 0.6614
0.6333 0.7836 0.3386
0.7164 0.5550 0.8497
0.7947 0.1333 0.3497
0.9450 0.2947 0.1614
```

Most intense lines, 2θ from 15° to 90°, by angle:
two_theta  d (Å)  I_rel
28.67  3.114  100
31.35  2.853  13
34.12  2.627  19
47.01  1.933  30
49.03  1.858  13
54.17  1.693  16
57.79  1.595  26
76.05  1.251  12

***

CdMoPO6: calculated powder XRD pattern (Cu Kα, 1.54184 Å), based on a DFT-relaxed cell (PBE+U, the Materials Project).
Intensities are scaled so that the largest is 100.

Cell and atoms:
```
CdMoPO6
1.0
4.9877 0.0000 0.0000
0.0000 8.6767 0.0000
-3.8552 0.0000 11.1952
Cd Mo P O
4 4 4 24
Direct
0.1715 0.1717 0.0760
0.1715 0.3283 0.5760
0.8285 0.6717 0.4240
0.8285 0.8283 0.9240
0.4888 0.0898 0.3861
0.4888 0.4102 0.8861
0.5112 0.5898 0.1139
0.5112 0.9102 0.6139
0.1814 0.0576 0.7906
0.1814 0.4424 0.2906
0.8186 0.5576 0.7094
0.8186 0.9424 0.2094
0.0903 0.5196 0.8111
0.0903 0.9804 0.3111
0.1572 0.0188 0.9140
0.1572 0.4812 0.4140
0.2219 0.7132 0.0618
0.2219 0.7868 0.5618
0.2388 0.2324 0.7761
0.2388 0.2676 0.2761
0.3723 0.1099 0.5348
0.3723 0.3901 0.0348
0.4405 0.5364 0.2769
0.4405 0.9636 0.7769
0.5595 0.0364 0.2231
0.5595 0.4636 0.7231
0.6277 0.6099 0.9652
0.6277 0.8901 0.4652
0.7612 0.7324 0.7239
0.7612 0.7676 0.2239
0.7781 0.2132 0.4382
0.7781 0.2868 0.9382
0.8428 0.5188 0.5860
0.8428 0.9812 0.0860
0.9097 0.0196 0.6889
0.9097 0.4804 0.1889
```

Most intense lines, 2θ from 15° to 90°, by angle:
two_theta  d (Å)  I_rel
20.62  4.308  65
21.45  4.143  100
21.97  4.045  47
24.96  3.568  66
27.31  3.266  73
28.98  3.081  47
31.41  2.848  71
31.63  2.829  93

***

CdTeMoO6: calculated powder XRD pattern (Cu Kα, 1.54184 Å), based on a DFT-relaxed cell (PBE+U, the Materials Project).
Intensities are scaled so that the largest is 100.

Cell and atoms:
```
CdTeMoO6
1.0
5.3616 0.0000 0.0000
0.0000 5.3616 0.0000
0.0000 0.0000 9.3456
Cd Te Mo O
2 2 2 12
Direct
0.0000 0.0000 0.0000
0.5000 0.5000 0.0000
0.0000 0.5000 0.2555
0.5000 0.0000 0.7445
0.0000 0.5000 0.6864
0.5000 0.0000 0.3136
0.1821 0.6821 0.5729
0.1920 0.3080 0.1223
0.2188 0.2812 0.7854
0.2812 0.7812 0.2146
0.3080 0.8080 0.8777
0.3179 0.1821 0.4271
0.6821 0.8179 0.4271
0.6920 0.1920 0.8777
0.7188 0.2188 0.2146
0.7812 0.7188 0.7854
0.8080 0.6920 0.1223
0.8179 0.3179 0.5729
```

Most intense lines, 2θ from 15° to 90°, by angle:
two_theta  d (Å)  I_rel
23.47  3.791  15
25.34  3.515  56
30.36  2.944  100
33.43  2.681  28
44.59  2.032  24
47.99  1.896  23
51.91  1.761  14
57.85  1.594  32

***

Cd4MoW3O16: calculated powder XRD pattern (Cu Kα, 1.54184 Å), based on a DFT-relaxed cell (PBE+U, the Materials Project).
Intensities are scaled so that the largest is 100.

Cell and atoms:
```
Cd4MoW3O16
1.0
5.1167 -5.9653 0.0000
5.1167 5.9653 0.0000
-0.2022 0.0000 5.1832
Cd Mo W O
4 1 3 16
Direct
0.2476 0.2476 0.0013
0.4439 0.0560 0.4981
0.7524 0.7524 0.9987
0.9440 0.5561 0.5019
0.7588 0.2412 0.0000
0.2622 0.7378 0.0000
0.4344 0.5656 0.5000
0.9345 0.0655 0.5000
0.0420 0.7151 0.8640
0.1547 0.0874 0.6381
0.1993 0.5989 0.3015
0.2849 0.9580 0.1360
0.2955 0.5029 0.8012
0.4011 0.8007 0.6985
0.4124 0.3459 0.3622
0.4971 0.7045 0.1988
0.5433 0.2165 0.8634
0.6541 0.5876 0.6378
0.6997 0.0993 0.2981
0.7835 0.4567 0.1366
0.7938 0.0025 0.7965
0.9007 0.3003 0.7019
0.9126 0.8453 0.3619
0.9975 0.2062 0.2035
```

Most intense lines, 2θ from 15° to 90°, by angle:
two_theta  d (Å)  I_rel
22.91  3.882  41
28.31  3.152  100
29.15  3.064  91
29.96  2.983  20
34.66  2.588  57
35.10  2.556  21
49.16  1.853  23
50.71  1.800  19

***
+++

Request >
The reader should find the line earlier on that holds "0.4888 0.4102", then print that line and all lines after it there.

Here it is >
0.4888 0.4102 0.8861
0.5112 0.5898 0.1139
0.5112 0.9102 0.6139
0.1814 0.0576 0.7906
0.1814 0.4424 0.2906
0.8186 0.5576 0.7094
0.8186 0.9424 0.2094
0.0903 0.5196 0.8111
0.0903 0.9804 0.3111
0.1572 0.0188 0.9140
0.1572 0.4812 0.4140
0.2219 0.7132 0.0618
0.2219 0.7868 0.5618
0.2388 0.2324 0.7761
0.2388 0.2676 0.2761
0.3723 0.1099 0.5348
0.3723 0.3901 0.0348
0.4405 0.5364 0.2769
0.4405 0.9636 0.7769
0.5595 0.0364 0.2231
0.5595 0.4636 0.7231
0.6277 0.6099 0.9652
0.6277 0.8901 0.4652
0.7612 0.7324 0.7239
0.7612 0.7676 0.2239
0.7781 0.2132 0.4382
0.7781 0.2868 0.9382
0.8428 0.5188 0.5860
0.8428 0.9812 0.0860
0.9097 0.0196 0.6889
0.9097 0.4804 0.1889
```

Most intense lines, 2θ from 15° to 90°, by angle:
two_theta  d (Å)  I_rel
20.62  4.308  65
21.45  4.143  100
21.97  4.045  47
24.96  3.568  66
27.31  3.266  73
28.98  3.081  47
31.41  2.848  71
31.63  2.829  93

***

CdTeMoO6: calculated powder XRD pattern (Cu Kα, 1.54184 Å), based on a DFT-relaxed cell (PBE+U, the Materials Project).
Intensities are scaled so that the largest is 100.

Cell and atoms:
```
CdTeMoO6
1.0
5.3616 0.0000 0.0000
0.0000 5.3616 0.0000
0.0000 0.0000 9.3456
Cd Te Mo O
2 2 2 12
Direct
0.0000 0.0000 0.0000
0.5000 0.5000 0.0000
0.0000 0.5000 0.2555
0.5000 0.0000 0.7445
0.0000 0.5000 0.6864
0.5000 0.0000 0.3136
0.1821 0.6821 0.5729
0.1920 0.3080 0.1223
0.2188 0.2812 0.7854
0.2812 0.7812 0.2146
0.3080 0.8080 0.8777
0.3179 0.1821 0.4271
0.6821 0.8179 0.4271
0.6920 0.1920 0.8777
0.7188 0.2188 0.2146
0.7812 0.7188 0.7854
0.8080 0.6920 0.1223
0.8179 0.3179 0.5729
```

Most intense lines, 2θ from 15° to 90°, by angle:
two_theta  d (Å)  I_rel
23.47  3.791  15
25.34  3.515  56
30.36  2.944  100
33.43  2.681  28
44.59  2.032  24
47.99  1.896  23
51.91  1.761  14
57.85  1.594  32

***

Cd4MoW3O16: calculated powder XRD pattern (Cu Kα, 1.54184 Å), based on a DFT-relaxed cell (PBE+U, the Materials Project).
Intensities are scaled so that the largest is 100.

Cell and atoms:
```
Cd4MoW3O16
1.0
5.1167 -5.9653 0.0000
5.1167 5.9653 0.0000
-0.2022 0.0000 5.1832
Cd Mo W O
4 1 3 16
Direct
0.2476 0.2476 0.0013
0.4439 0.0560 0.4981
0.7524 0.7524 0.9987
0.9440 0.5561 0.5019
0.7588 0.2412 0.0000
0.2622 0.7378 0.0000
0.4344 0.5656 0.5000
0.9345 0.0655 0.5000
0.0420 0.7151 0.8640
0.1547 0.0874 0.6381
0.1993 0.5989 0.3015
0.2849 0.9580 0.1360
0.2955 0.5029 0.8012
0.4011 0.8007 0.6985
0.4124 0.3459 0.3622
0.4971 0.7045 0.1988
0.5433 0.2165 0.8634
0.6541 0.5876 0.6378
0.6997 0.0993 0.2981
0.7835 0.4567 0.1366
0.7938 0.0025 0.7965
0.9007 0.3003 0.7019
0.9126 0.8453 0.3619
0.9975 0.2062 0.2035
```

Most intense lines, 2θ from 15° to 90°, by angle:
two_theta  d (Å)  I_rel
22.91  3.882  41
28.31  3.152  100
29.15  3.064  91
29.96  2.983  20
34.66  2.588  57
35.10  2.556  21
49.16  1.853  23
50.71  1.800  19

***